• Request:
Your job: print every line further down that contains the word "Al2".

• Material:
........
# SmGdDy2Al2, relaxed, DFT GGA-PBE
data_SmGdDy2Al2
_chemical_formula_sum 'Sm1 Gd1 Dy2 Al2'
_space_group_name_H-M_alt 'P 1'
_space_group_IT_number 1
_space_group_name_Hall 'P 1'
_cell_length_a 5.2664
_cell_length_b 5.2664
_cell_length_c 6.6927
_cell_angle_alpha 90.00
_cell_angle_beta 90.00
_cell_angle_gamma 120.00
loop_
_atom_site_label
_atom_site_type_symbol
_atom_site_fract_x
_atom_site_fract_y
_atom_site_fract_z
Sm1 Sm 0.0000 0.0000 0.0000
Gd1 Gd 0.3333 0.6667 0.5000
Dy1 Dy 0.6667 0.3333 0.2511
Dy2 Dy 0.6667 0.3333 0.7489
Al1 Al 0.0000 0.0000 0.5000
Al2 Al 0.3333 0.6667 0.0000
# Density ... 7.092 g/cm3
# Space-group type ... P-6m2, No. 187
# Uncorrected energy ... -4.608 eV/atom
# M_tot ... 0.046 μB/f.u.

~~~~~

VASP calculation (PBE) on a geometry-optimized Tl3Cd2Hg2 structure.

- ΔH_f (0 K) (kJ per mole of atoms) = 1.5
- space group = Cm (8)
- ρ (Mg/m³) = 10.66

a b c (Å): 3.3772 5.8717 10.3267
angles (deg): 83.59 80.59 73.29
Last column: nearest neighbours and their distance in Å.
Fractional positions:
Tl1 0.2004 0.5899 0.0092  3 Hg 3.25-3.48, 6 Tl 3.38-3.53
Tl2 0.5386 0.0951 0.8276  3 Hg 3.36-3.38, 2 Cd 3.37, 6 Tl 3.38-3.69
Tl3 0.3957 0.0380 0.1706  3 Hg 3.35-3.37, 2 Cd 3.35, 6 Tl 3.38-3.53
Cd1 0.0888 0.2713 0.5512  5 Cd 3.09-3.44, 4 Hg 3.17, 2 Tl 3.37
Cd2 0.8443 0.8661 0.4454  5 Cd 3.09-3.44, 4 Hg 3.17, 2 Tl 3.35
Hg1 0.3256 0.6588 0.6900  4 Cd 3.17, 4 Tl 3.25-3.38, 2 Hg 3.38
Hg2 0.6082 0.4777 0.3060  4 Cd 3.17, 5 Tl 3.35-3.48, 2 Hg 3.38

~~~~~

# BaNa2Pb10, relaxed, DFT PBE-GGA
# size of the total moment: 0.00 μB per cell
# DFT formation energy: -3.00 kcal/mol of atoms
# electronic total energy: -3.333 eV per atom
# ρ: 8.76 g/cm3
# crystal system: orthorhombic
data_BaNa2Pb10
_cell_length_a 6.487
_cell_length_b 15.216
_cell_length_c 17.332
_cell_angle_alpha 90.00
_cell_angle_beta 90.00
_cell_angle_gamma 90.00
_space_group_name_H-M_alt 'F m m m'
_space_group_IT_number 69
_space_group_name_Hall '-F 2 2'
loop_
_atom_site_label
_atom_site_fract_x
_atom_site_fract_y
_atom_site_fract_z
Ba1 0.000 0.000 0.000
Na1 0.250 0.000 0.250
Pb1 0.000 0.112 0.382
Pb2 0.000 0.181 0.176
Pb3 0.250 0.250 0.000



# AlIn2B2, relaxed, DFT PBE-GGA
# size of the total moment: 0.00 μB per cell
# DFT formation energy: 14.92 kcal/mol of atoms
# energy above the most stable polymorph in this dataset: 0 meV/atom
# electronic total energy: -3.868 eV per atom
# ρ: 5.66 g/cm3
# crystal system: tetragonal
data_AlIn2B2
_cell_length_a 5.932
_cell_length_b 5.932
_cell_length_c 4.639
_cell_angle_alpha 90.00
_cell_angle_beta 90.00
_cell_angle_gamma 90.00
_space_group_name_H-M_alt 'P 4/m b m'
_space_group_IT_number 127
_space_group_name_Hall '-P 4 2ab'
loop_
_atom_site_label
_atom_site_fract_x
_atom_site_fract_y
_atom_site_fract_z
Al1 0.000 0.000 0.000
In1 0.188 0.312 0.500
B1 0.100 0.400 0.000



# Pm3SbN, relaxed, DFT PBE-GGA
# size of the total moment: 0.00 μB per cell
# energy above the most stable polymorph in this dataset: 1 meV/atom
# formation energy without anion corrections: -998 meV per atom
# electronic total energy: -6.338 eV per atom
# ρ: 7.81 g/cm3
# crystal system: cubic
data_Pm3SbN
_cell_length_a 4.950
_cell_length_b 4.950
_cell_length_c 4.950
_cell_angle_alpha 90.00
_cell_angle_beta 90.00
_cell_angle_gamma 90.00
_space_group_name_H-M_alt 'P m -3 m'
_space_group_IT_number 221
_space_group_name_Hall '-P 4 2 3'
loop_
_atom_site_label
_atom_site_fract_x
_atom_site_fract_y
_atom_site_fract_z
Pm1 0.000 0.000 0.500
Sb1 0.500 0.500 0.500
N1 0.000 0.000 0.000



# AcDy2Te, relaxed, DFT PBE-GGA
# size of the total moment: 0.00 μB per cell
# energy above the most stable polymorph in this dataset: 20 meV/atom
# formation energy without anion corrections: -530 meV per atom
# electronic total energy: -4.643 eV per atom
# ρ: 8.14 g/cm3
# crystal system: trigonal
data_AcDy2Te
_cell_length_a 3.9699
_cell_length_b 3.9699
_cell_length_c 30.4757
_cell_angle_alpha 90.00
_cell_angle_beta 90.00
_cell_angle_gamma 120.00
_space_group_name_H-M_alt 'R 3 m'
........

• Done:
_chemical_formula_sum 'Sm1 Gd1 Dy2 Al2'
Al2 Al 0.3333 0.6667 0.0000